Attention Deficit Hyperactivity Disorder

Soma Brings Peace of Mind to Families

By Karrie Osborn

Originally published in Massage & Bodywork magazine, June/July 2004.

Drawing 1 — Before any Soma work. This drawing was created by an 8-year-old boy before experiencing any Soma work. He was told to create a picture of himself as he felt in his body at that moment. Through drawing analysis, this picture depicts a desperate-looking person, says Karen Bolesky, co-director of the Soma Institute of Neuromuscular Integration. The black lines indicate internal organs, their presence here often a sign of paranoia. Black is usually a color of grief or pain. The fact that the child used both a pencil (indicating the need to be correct — a trait common to the left hemisphere of the brain) and the red and purple boundary, shows a sense of anger and feelings of abuse. He is feeling closed in and overwhelmed by these feelings. The mouth is held in a scream with teeth showing, also a sign of anger. The person is off-balance in the picture, something the child says he felt.

The statistics for children afflicted with attention deficit/hyperactivity disorder (ADHD) are, in all estimations, staggering. By conservative accounts, there are more than 2 million children (3 percent to 5 percent, or one to two children in each classroom)1 afflicted with this disorder, which causes inattention, impulsivity, and hyperactivity in its sufferers. Other more progressive estimates project that 10 percent of the school-age population has ADHD, also known as attention deficit disorder, with another 20 percent demonstrating symptoms.2

The prevalence of ADHD has increased significantly over the past three decades and is now considered the most frequently diagnosed childhood behavior disorder today.3 While alternatives for addressing the disorder (such as nutrition and homeopathy) are now being considered, pharmaceutical solutions are still the No. 1 recommended option for children diagnosed with the condition. In fact, up to 90 percent of children with ADHD receive Ritalin or similar stimulants.4 Sadly, our classrooms are filled with “doped-up” kids.

But what if there wasn’t a need to medicate 8 million-plus children for their ADHD symptoms? What if we could turn to bodywork to address their needs?

Drawing 2 — After three Soma sessions. Even though the instructions were the same, this picture denotes a much different child. It depicts his father, brother, and himself eating a meal together. He is the figure on the left, still alone, but in a much better place. The child’s parents had recently divorced, and the children were living with the father. He said the other chair was empty for his mother and that he missed her. Bolesky says it’s important he recognized those feelings. The drawing indicates the child is feeling more in his core brain and doesn’t feel so boxed in. The color brown seen in the picture is a healthy color and indicates being in touch with nature. The light hanging over the table is brown and yellow — the color of energy. This drawing shows a healthy sense of reality, less isolation, and is much more positive overall.

That’s the question Karen Bolesky asked when she first started treating children with ADHD nearly a decade ago.

Soma and ADHD — A New Frontier

• Records of molecules from another source follow:
____________
No. 1
19
Properties=species:S:1:pos:R:3:forces:R:3 method="wB97M-V/def2-TZVPD" de_lowest_ev=3.175 multiplicity=1 total_energy_ev=-19493.06341 e_lumo_ev=0.359
C 1.464022 -2.551050 0.155325 1.7 -0.7 3.8
O 1.735298 -1.266033 0.605860 -1.9 3.5 -1.0
C 0.752257 -0.337168 0.220046 0.3 1.5 1.2
C -0.304575 -0.471407 -0.611527 1.1 -0.6 0.2
C -1.429649 0.497575 -0.638060 2.1 -0.8 0.8
I -3.364650 -0.591592 0.270831 0.2 0.1 -0.1
N -1.153224 1.691743 0.039423 1.1 -0.9 -0.4
N -2.065853 2.683807 -0.222853 -0.6 1.2 1.6
C -0.115766 1.854460 0.954245 -0.1 -1.9 -0.2
C 0.829216 0.887023 0.999560 -0.6 -1.0 0.4
H 2.034602 -3.072794 1.028188 -0.8 -0.4 -2.4
H 1.821372 -2.612609 -0.824213 0.6 -1.0 -1.5
H 0.428292 -2.722704 0.282068 -1.2 -0.7 -0.2
H -0.196252 -1.373830 -1.190251 -1.3 0.0 -0.6
H -1.783663 0.674487 -1.622208 -0.8 0.1 -0.6
H -1.860611 3.155551 -1.082850 0.4 0.3 -0.6
H -1.900512 3.338463 0.545062 -0.7 0.2 -0.5
H -0.159575 2.517934 1.825586 -0.4 0.3 -0.9
H 1.373519 0.700682 1.890088 0.9 0.7 0.7


No. 2
18
Properties=species:S:1:pos:R:3:forces:R:3 method="wB97M-V/def2-TZVPD" de_lowest_ev=0.000 multiplicity=1 total_energy_ev=-27349.52536 e_lumo_ev=0.221
C -0.123500 0.572180 -1.923218 1.6 0.8 1.2
C -0.446506 -0.256860 -0.682799 3.8 1.0 2.0
C -1.717258 0.195175 -0.109313 1.6 4.1 -0.9
S -0.206873 -2.029559 -0.612646 -0.8 -0.8 -1.2
C 1.187246 -1.620354 0.316746 1.7 -3.3 0.0
O 2.017579 -2.423485 0.694994 -0.6 1.5 0.0
C 0.994518 -0.184423 0.456208 -2.7 1.2 -0.3
C 0.605850 0.158349 1.886954 -2.1 1.1 0.8
I 2.633736 0.963275 -0.088960 0.6 0.4 -0.4
H -1.029271 0.764979 -2.368859 -2.0 -0.5 -2.2
H 0.730107 0.243662 -2.489860 -0.3 -0.8 -0.7
H 0.146982 1.659015 -1.823850 0.1 -0.8 1.3
H -1.502098 1.321170 0.061578 -1.1 -1.5 -0.1
H -2.160144 -0.206656 0.705443 -0.4 -1.6 3.1
H -2.469179 0.068892 -0.822779 -1.2 0.3 -1.6
H -0.063245 1.113830 1.913725 1.5 -1.4 -0.1
H 1.473888 0.275223 2.553260 -0.4 0.0 -0.3
H -0.071831 -0.614416 2.333375 0.6 0.3 -0.5


No. 3
22
Properties=species:S:1:pos:R:3:forces:R:3 method="wB97M-V/def2-TZVPD" de_lowest_ev=0.000 multiplicity=1 total_energy_ev=-23824.29119 e_lumo_ev=0.312
In 1.975752 -0.582861 -11.202741 -1.6 -1.4 2.8
C 0.229918 -2.744447 -8.591955 -1.2 -0.5 1.0
C 1.015921 -1.864666 -9.443494 -1.0 0.5 2.5
O 1.539091 -2.317662 -10.476804 0.5 -4.0 -0.7
O 1.082132 -0.649020 -9.168298 -2.4 0.0 0.0
H -0.711753 -2.898484 -9.118865 0.0 -0.3 -0.3
H -0.096701 -2.189002 -7.712806 0.4 -0.3 0.2
H 0.670727 -3.718227 -8.378561 0.0 0.2 0.0
C 4.415060 1.982934 -9.810241 -0.6 -0.6 1.7
C 3.530793 0.849935 -10.277250 1.5 1.6 1.9
O 3.191318 -0.155700 -9.589707 3.9 1.4 0.9
O 3.062910 0.935899 -11.436673 2.8 7.0 3.1
H 4.031444 2.969391 -10.070704 0.5 -0.3 -1.1
H 5.450329 1.718265 -10.025343 0.0 0.6 -0.3
H 4.319987 2.052144 -8.726614 0.3 -0.5 0.2
C 1.523357 -0.926793 -14.953109 -1.9 -0.8 1.0
C 1.600421 -0.609199 -13.429777 2.5 -0.4 -5.5
O 2.684473 -0.091295 -13.014769 -1.8 -3.4 -6.5
O 0.704060 -0.999477 -12.650389 -2.7 -0.1 -1.4
____________
• So much for the records of molecules:

Soma Neuromuscular Integration is a body/mind therapy that addresses the needs of a person’s physical and psychological being. Based on the work of Ida Rolf, Soma utilizes a protocol that seeks structural balance and a reconditioned nervous system through deep tissue manipulation, movement training, communication between client and practitioner, journaling, repatterning, drawing interpretation, and more.

While the body is being worked via the fascia, the neurological work is occurring on physiological and psychological levels, says Bolesky, co-director of the Soma Institute of Neuromuscular Integration in Buckley, Wash. “Work in each area affects the other, so structural improvement is seen as much a function of neurological change as of fascia manipulation.”

Bolesky has offered Soma bodywork to approximately 50 children with ADHD during the last six years and has had nothing but positive results. She started working with these children after receiving referrals from a local physician.

“The thing I see most is a calming kind of behavior,” says Bolesky of her ADHD clients after working through Soma’s 11-session neuromuscular integration paradigm. “It’s an observable behavior change, often with them having fewer social arguments and less hostility. They are not so isolated and have more of a sense of community.” For any parent whose child has ADHD, that’s saying a lot.

So why does Soma work with ADHD when other therapies don’t? First, let’s take a closer look at the disorder.

While the causes of ADHD are not absolutely known, some believe it may be triggered by everything from a brain injury (subsequent to trauma, disease, or fetal exposure to alcohol) to lead exposure.5 There is even a theory that heredity is a factor.6 A child’s diet, often filled with sugar, preservatives, artificial coloring, and other chemical additives, while not a causative factor, is considered something that exacerbates the condition.

There are many unknowns with ADHD, and as illustrated earlier, the biggest uncertainty is how many children “really” are afflicted with it. Even governmental agencies show conflicting numbers. Adding to this dilemma, the disorder is often misdiagnosed or too quickly diagnosed. Depression, insomnia, poor diet, and a variety of behavioral problems may be confused with, or appear in conjunction with, ADHD.

What we do know is that there is indeed a difference in brain activity between ADHD children and those not afflicted with the disorder. According to G.W. Hynd et al., ADHD children have a difference in the “pattern of the brain morphology in the frontal region.”7 Advanced neuroimaging techniques show that the brains of ADHD children handle neurotransmitters (such as dopamine, serotonin, and adrenaline) differently from their peers.8 According to Jay Gordon, M.D., a “deficiency in central nervous system dopamine probably causes many, if not most, of the problems associated with ADHD.”9

Bolesky believes that ADHD is the result of a fixed dominance in the left hemisphere of the brain. “All (my) clients diagnosed with ADD or ADHD ... show left hemisphere dominance to such a degree that it becomes aberated into overdominance,”10 she explains. Creating an integration with the other aspects of “brain” — under Soma’s Three-Brain Model — will allow greater attention span, ease, and well-being for the client. Integration through Soma work will allow these children the chance to find the balance they so desperately need. And because the changes they undergo via Soma are permanent, Bolesky is convinced ADHD is not biologically based.

Soma’s Three Brains Explained

Bolesky says Soma bodywork is “effective in expanding the internal experience of the person to a more integrated state. Integration allows greater exchange between body and the mind, which then releases the state of overwhelm” felt by those afflicted with ADHD.

An integral and unique aspect of Soma Neuromuscular Integration, and the likely reason why this therapy works with ADHD children, is the concept of Three Brains. Soma developer Bill Williams coined the term as he began to conceptualize this modality and the integration process in the 1970s.

Most of us are already familiar with the concept of left and right brain functioning. The Soma model calls for a mid-brain or core in which emotions are seated and in which healing, in conjunction with the right hemisphere, occurs. The implication is that a healthy integration consciously utilizes all three aspects of the brain when appropriate and that the brain is not separate from the body.

The left hemisphere is considered the dominant brain in our culture, Bolesky says. It is linear and oftentimes forgets the body. It is said to only be able to handle 16 bits of information per second, and is thought of as the survival hemisphere, but in planning and thought only — not in action.

The right hemisphere is a place of inspiration and connectiveness. Bolesky explains that time in the right hemisphere is like floating down a river and absorbing whatever you encounter. “This is a brain of no effort; just being and bringing forth,” she says. “It is the place of reverie and daydreams. In computer terms, this would be the modem to all computers in the universe. The power and energy perceived here is infinite.”

The core, or central nervous system, is primarily responsible for the production and control of energy. It is the power plant of the body, Bolesky says. It is here that feelings reside and in which a connection between the right and left brain exists. “The core for us is the central nervous system, but bigger than that, it’s also the hara, the center, the part of us that is the body brain. It’s the deep part of us that connects — the energy source.”

When utilizing Soma, the goal is to create an environment (using this model) in which “the client begins to experience and have volition over which brain is more effective in the present moment or present task,” Bolesky says. “It may be more effective to have access to another brain than the more dominant left hemisphere for optimal functioning.” Soma is designed to reintegrate the three brains to create increased function, wellness, and wholeness.” (For a more in-depth discussion of the Three-Brain Model and Soma Neuromuscular Integration, see Soma on page 20.) In helping clients access all three brains, greater expansion and personal ease is found.

After working through the Soma program, Bolesky says the changes are palpable. “Kids are usually the ones who tell me how much better they feel, how much better they’re doing in school, and that they’re not so mad any more,” Bolesky explains. “It’s a beautiful thing to see them understand their changes.”

A Case Study

The thrust of Bolesky’s work with ADHD children began nearly a decade ago when a local physician referred her an 8-year-old boy. Bolesky says the boy’s family was at wits end with his aggressive behavior. He was in such dire need of help that he was in danger of being removed from his school environment.

Considered a bright child, the boy had been seen by both school and private counselors in an attempt to squelch his negative, disruptive behaviors, which included poor manners, inability to follow directions and work quietly, aggressiveness with other students and siblings, and failure to accept responsibility for his behavior.

Bolesky discusses this case study in the book The Indigo Children, by Lee Caroll and Jan Tober. She writes: “He played lots of computer games which are very results-oriented, left-hemisphere actions. He hated to be wrong and liked to be alone when nervous ... He had good mental awareness of his body, but felt uncomfortable in it most of the time.”

Using the 11-session protocol of Soma Neuromuscular Integration, Bolesky set to work on the child. The first session was plagued with the boy’s attempt to resist and distract himself from taking hold of body awareness. Bolesky let the child know he could ask for the work to stop if it became too intense or invasive for him. This gave him not only a sense of control, but a project — paying attention. When the boy returned for the second session the following week, he told Bolesky he’d not been in any fights all week.

The sessions continued until after the fourth week when the 8-year-old boy informed Bolesky that he would “get better by myself now.” Regard-less that this broke protocol, and that with most other clients she would argue the case, Bolesky let the child guide her work and agreed with his decision. The patterns of children aren’t so “hard-wired,” Bolesky says, hence they are much easier to “fix.” Now in high school, the boy is no longer plagued with either the stigma or symptoms of ADHD. He did continue to get better by himself as he predicted.

Bolesky explains his success: “My assessment is that when he surrendered control of the left hemisphere and felt his core brain (the part of the Three- Brain Model that governs where we experience bodily sensation and energy), he was reminded that his body was a safe place.”11 The child’s mother reported that was indeed the case as her son became aware of his behavior, learned how to control it, and recognized his feelings after working with Bolesky.


Just recently, several parents had a chance to offer feedback on the work Bolesky has done with their children. The responses were overwhelmingly in favor of recommending Soma to other families dealing with ADHD. Following are a few of the individual comments.

By his mother’s account, “Cole” was a serious, hypervigilant child when he came to Bolesky in 1996 at the age of 8. “I never heard him laugh,” this mother recalls, explaining the struggles the family was experiencing at the time as they dealt with an alcoholic, drug-dependent father/husband who had abandoned them three years earlier. After working with Bolesky, the mother writes that her son was transformed.

“His body is so beautiful and balanced now, and he is a highly skilled athlete,” she says. “We’ve had nothing but positive results. Soma has made a tremendous difference in my son’s life.”

# Next to the article, the page also holds data records
____________
No. 1
23
Properties=species:S:1:pos:R:3 method="wB97M-V/def2-TZVPD" e_lumo_ev=3.54 spin_multiplicity=1 gap_ev=7.30 de_lowest_kcal_mol=48.1 total_charge=-1 largest_force_ev_per_a=3.82
C -0.313 0.722 -0.135
C -0.884 -0.217 0.958
C -0.840 0.638 2.300
O -2.098 1.387 2.378
N 1.013 0.221 -0.621
C 0.939 -1.170 -1.351
O 0.847 -0.952 -2.632
H -1.108 0.843 -0.940
H -0.010 1.742 0.248
H -1.897 -0.495 0.615
H -0.366 -1.108 1.197
H -0.910 0.108 3.252
H -0.077 1.358 2.514
H -2.617 0.853 1.637
H 1.317 0.832 -1.385
H 1.844 -1.690 -1.125
H 0.112 -1.835 -0.952
H -2.107 -0.906 -2.539
H -0.497 -1.521 -3.049
O -1.579 -1.722 -2.794
H 3.819 1.129 0.732
H 2.518 0.518 0.624
O 2.891 1.265 1.066


No. 2
21
Properties=species:S:1:pos:R:3 method="wB97M-V/def2-TZVPD" e_lumo_ev=-4.76 spin_multiplicity=1 gap_ev=9.81 de_lowest_kcal_mol=66.1 total_charge=+1 largest_force_ev_per_a=5.18
C 0.943 -0.052 -1.591
C 1.967 1.129 0.317
C -3.149 -0.322 0.028
C 0.764 0.345 -0.207
N 1.046 -1.640 0.797
O -1.813 -0.059 -0.208
Si -0.907 0.997 0.552
H 0.843 0.849 -2.067
H 2.007 -0.289 -1.773
H 0.283 -0.826 -2.020
H 2.328 0.721 1.194
H 2.801 0.846 -0.524
H 1.820 2.211 0.306
H -3.348 -1.372 -0.403
H -3.921 0.478 -0.285
H -3.332 -0.699 1.042
H 1.749 -1.495 1.427
H 0.121 -1.906 1.017
H 1.312 -2.533 0.275
H -1.063 2.431 0.234
H -0.867 0.758 2.048


No. 3
21
Properties=species:S:1:pos:R:3 method="wB97M-V/def2-TZVPD" e_lumo_ev=-3.39 spin_multiplicity=1 gap_ev=9.51 de_lowest_kcal_mol=25.4 total_charge=+1 largest_force_ev_per_a=2.44
C 1.386 0.349 0.427
C 2.277 0.041 -0.781
S 2.758 1.572 -1.732
N 0.939 -0.764 1.297
H 0.427 0.874 0.147
H 1.890 1.047 1.116
H 1.740 -0.641 -1.534
H 3.229 -0.408 -0.433
H 1.498 2.046 -1.736
H 0.555 -0.352 2.179
H 1.685 -1.448 1.524
H 0.159 -1.229 0.775
C -1.632 -0.228 -1.403
S -1.842 -1.358 0.008
C -2.416 -0.013 1.192
H -1.507 0.855 -1.190
H -2.552 -0.430 -1.971
H -0.848 -0.598 -2.041
H -2.673 -0.479 2.124
H -1.720 0.797 1.287
H -3.355 0.367 0.744


Please write out number 1 again, unchanged.
23
Properties=species:S:1:pos:R:3 method="wB97M-V/def2-TZVPD" e_lumo_ev=3.54 spin_multiplicity=1 gap_ev=7.30 de_lowest_kcal_mol=48.1 total_charge=-1 largest_force_ev_per_a=3.82
C -0.313 0.722 -0.135
C -0.884 -0.217 0.958
C -0.840 0.638 2.300
O -2.098 1.387 2.378
N 1.013 0.221 -0.621
C 0.939 -1.170 -1.351
O 0.847 -0.952 -2.632
H -1.108 0.843 -0.940
H -0.010 1.742 0.248
H -1.897 -0.495 0.615
H -0.366 -1.108 1.197
H -0.910 0.108 3.252
H -0.077 1.358 2.514
H -2.617 0.853 1.637
H 1.317 0.832 -1.385
H 1.844 -1.690 -1.125
H 0.112 -1.835 -0.952
H -2.107 -0.906 -2.539
H -0.497 -1.521 -3.049
O -1.579 -1.722 -2.794
H 3.819 1.129 0.732
H 2.518 0.518 0.624
O 2.891 1.265 1.066


(1)
Here is a 2-piece molecular cluster, C2H6NO2 overall from OMol25. Energies are from ωB97M-V with the def2-TZVPD basis set.

**E_tot**: -285.07200 Ha
**Total charge**: -1
**HOMO**: -4.0 eV
**Kohn-Sham gap**: 8.197 eV
____________

In 1997, 9-year-old “Jason” came to Bolesky for help in working with his stressed emotional behavior and overreactive nature. Jason had an advantage coming in — his father was a touch practitioner — which allowed him the ability to slip easily and immediately into the work.

“This child responds openly and deeply to touch and did so during the Soma sessions,” Jason’s father says. “The response was occasionally profound — coccyx work elicited weeping, while the psoas work prompted laughter.”

In addition to a greater sense of openness with his parents, Jason was reported to be calmer after the Soma work. He also exhibited greater communication skills at home, developed a stronger connection with his father, had more ease and grace athletically, and developed a sense of self and leadership skills.

“Soma allowed Jason to be clearer about himself and his needs.”

In the End

Integration is a key factor to health, especially when you think of the divisive nature of ADHD. What better method of treatment than a structural approach like Soma Neuromuscular Integration that allows for the unification of body, mind, and spirit? It opens the door of thought: Might this not work for something even more insidious, such as bipolar disorder, manic depression, or even autism? The possibilities certainly exist, and like the healing work of so many body therapies, who knows what roads they might take us down next.